To do.
Start at the top of the notes below and type out each line, ending with the one that has "_symmetry_Int_Tables_number 62".
Listing.
____________
# 1
# PBE-GGA ThSc3Zn8, optimized geometry
# Energy of formation from the pure elements ... -0.290 eV per atom
data_ThSc3Zn8
_chemical_formula_sum 'Th1 Sc3 Zn8'
_symmetry_space_group_name_H-M 'P 3 m 1'
_symmetry_Int_Tables_number 156
_cell_length_a 5.3685
_cell_length_b 5.3685
_cell_length_c 8.6429
_cell_angle_alpha 90.00
_cell_angle_beta 90.00
_cell_angle_gamma 120.00
loop_
_symmetry_equiv_pos_as_xyz
'x,y,z'
'-y,x-y,z'
'-x+y,-x,z'
'-y,-x,z'
'-x+y,y,z'
'x,x-y,z'
loop_
_atom_site_label
_atom_site_type_symbol
_atom_site_fract_x
_atom_site_fract_y
_atom_site_fract_z
_atom_site_occupancy
Th1 Th 0.0000 0.0000 0.0000 1
Sc1 Sc 0.0000 0.0000 0.3775 1
Sc2 Sc 0.6667 0.3333 0.4947 1
Sc3 Sc 0.6667 0.3333 0.8629 1
Zn1 Zn 0.1626 0.3252 0.6769 1
Zn2 Zn 0.3333 0.6667 0.4372 1
Zn3 Zn 0.3333 0.6667 0.9330 1
Zn4 Zn 0.5051 0.0103 0.1939 1

---

# 2
# PBE-GGA CoSiSe2, optimized geometry
# Formation energy without anion corrections ... 0.120 eV/atom
data_CoSiSe2
_chemical_formula_sum 'Co3 Si3 Se6'
_symmetry_space_group_name_H-M 'R -3 m'
_symmetry_Int_Tables_number 166
_symmetry_space_group_name_Hall '-R 3 2"'
_cell_length_a 3.4291
_cell_length_b 3.4291
_cell_length_c 23.4072
_cell_angle_alpha 90.00
_cell_angle_beta 90.00
_cell_angle_gamma 120.00
loop_
_atom_site_label
_atom_site_type_symbol
_atom_site_fract_x
_atom_site_fract_y
_atom_site_fract_z
_atom_site_occupancy
Co1 Co 0.0000 0.0000 0.0000 1
Si1 Si 0.0000 0.0000 0.5000 1
Se1 Se 0.0000 0.0000 0.3877 1

---

# 3
# PBE-GGA YInCo5, optimized geometry
# ΔE to the lowest computed polymorph ... 96.5 meV per atom
# Energy of formation from the pure elements ... 0.359 eV per atom
data_YInCo5
_chemical_formula_sum 'Y1 In1 Co5'
_symmetry_space_group_name_H-M 'P 4/m m m'
_symmetry_Int_Tables_number 123
_symmetry_space_group_name_Hall '-P 4 2'
_cell_length_a 3.578
_cell_length_b 3.578
_cell_length_c 8.569
_cell_angle_alpha 90.00
_cell_angle_beta 90.00
_cell_angle_gamma 90.00
loop_
_atom_site_label
_atom_site_type_symbol
_atom_site_fract_x
_atom_site_fract_y
_atom_site_fract_z
_atom_site_occupancy
Y1 Y 0.000 0.000 0.000 1
In1 In 0.000 0.000 0.500 1
Co1 Co 0.000 0.500 0.257 1
Co2 Co 0.500 0.500 0.000 1

---

# 4
# PBE-GGA Co2CuAs, optimized geometry
# Energy of formation from the pure elements ... 0.117 eV per atom
data_Co2CuAs
_chemical_formula_sum 'Co4 Cu2 As2'
_symmetry_space_group_name_H-M 'C 1 m 1'
_symmetry_Int_Tables_number 8
_cell_length_a 8.870
_cell_length_b 2.811
_cell_length_c 4.170
_cell_angle_alpha 90.00
_cell_angle_beta 111.04
_cell_angle_gamma 90.00
loop_
_symmetry_equiv_pos_as_xyz
'x,y,z'
'x,-y,z'
'x+1/2,y+1/2,z'
'x+1/2,-y+1/2,z'
loop_
_atom_site_label
_atom_site_type_symbol
_atom_site_fract_x
_atom_site_fract_y
_atom_site_fract_z
_atom_site_occupancy
Co1 Co 0.000 0.000 0.000 1
Co2 Co 0.241 0.500 0.404 1
Cu1 Cu 0.486 0.000 0.492 1
As1 As 0.256 0.000 0.895 1

---

# 5
# PBE-GGA Ni3Ir, optimized geometry
# Energy of formation from the pure elements ... 0.015 eV per atom
data_Ni3Ir
_chemical_formula_sum 'Ni12 Ir4'
_symmetry_space_group_name_H-M 'P n m a'
_symmetry_Int_Tables_number 62
_cell_length_a 4.483
_cell_length_b 8.342
_cell_length_c 5.116
_cell_angle_alpha 90.00
_cell_angle_beta 90.00
_cell_angle_gamma 90.00
loop_
_symmetry_equiv_pos_as_xyz
'x,y,z'
'-x,-y,-z'
'-x+1/2,-y,z+1/2'
'x+1/2,y,-z+1/2'
'x+1/2,-y+1/2,-z+1/2'
'-x+1/2,y+1/2,z+1/2'
'-x,y+1/2,-z'
'x,-y+1/2,z'
loop_
_atom_site_label
_atom_site_type_symbol
_atom_site_fract_x
_atom_site_fract_y
_atom_site_fract_z
_atom_site_occupancy
Ni1 Ni 0.081 0.250 0.130 1
Ni2 Ni 0.250 0.002 0.377 1
Ir1 Ir 0.078 0.250 0.624 1

---

# 6
# PBE-GGA MgPaP2, optimized geometry
# ΔE to the lowest computed polymorph ... 68.1 meV per atom
# Energy of formation from the pure elements ... -0.816 eV per atom
data_MgPaP2
_chemical_formula_sum 'Mg3 Pa3 P6'
_symmetry_space_group_name_H-M 'R 3 m'
_symmetry_Int_Tables_number 160
_symmetry_space_group_name_Hall 'R 3 -2"'
_cell_length_a 3.9283
_cell_length_b 3.9283
_cell_length_c 19.1672
_cell_angle_alpha 90.00
____________
Written answer.
# 1
# PBE-GGA ThSc3Zn8, optimized geometry
# Energy of formation from the pure elements ... -0.290 eV per atom
data_ThSc3Zn8
_chemical_formula_sum 'Th1 Sc3 Zn8'
_symmetry_space_group_name_H-M 'P 3 m 1'
_symmetry_Int_Tables_number 156
_cell_length_a 5.3685
_cell_length_b 5.3685
_cell_length_c 8.6429
_cell_angle_alpha 90.00
_cell_angle_beta 90.00
_cell_angle_gamma 120.00
loop_
_symmetry_equiv_pos_as_xyz
'x,y,z'
'-y,x-y,z'
'-x+y,-x,z'
'-y,-x,z'
'-x+y,y,z'
'x,x-y,z'
loop_
_atom_site_label
_atom_site_type_symbol
_atom_site_fract_x
_atom_site_fract_y
_atom_site_fract_z
_atom_site_occupancy
Th1 Th 0.0000 0.0000 0.0000 1
Sc1 Sc 0.0000 0.0000 0.3775 1
Sc2 Sc 0.6667 0.3333 0.4947 1
Sc3 Sc 0.6667 0.3333 0.8629 1
Zn1 Zn 0.1626 0.3252 0.6769 1
Zn2 Zn 0.3333 0.6667 0.4372 1
Zn3 Zn 0.3333 0.6667 0.9330 1
Zn4 Zn 0.5051 0.0103 0.1939 1

---

# 2
# PBE-GGA CoSiSe2, optimized geometry
# Formation energy without anion corrections ... 0.120 eV/atom
data_CoSiSe2
_chemical_formula_sum 'Co3 Si3 Se6'
_symmetry_space_group_name_H-M 'R -3 m'
_symmetry_Int_Tables_number 166
_symmetry_space_group_name_Hall '-R 3 2"'
_cell_length_a 3.4291
_cell_length_b 3.4291
_cell_length_c 23.4072
_cell_angle_alpha 90.00
_cell_angle_beta 90.00
_cell_angle_gamma 120.00
loop_
_atom_site_label
_atom_site_type_symbol
_atom_site_fract_x
_atom_site_fract_y
_atom_site_fract_z
_atom_site_occupancy
Co1 Co 0.0000 0.0000 0.0000 1
Si1 Si 0.0000 0.0000 0.5000 1
Se1 Se 0.0000 0.0000 0.3877 1

---

# 3
# PBE-GGA YInCo5, optimized geometry
# ΔE to the lowest computed polymorph ... 96.5 meV per atom
# Energy of formation from the pure elements ... 0.359 eV per atom
data_YInCo5
_chemical_formula_sum 'Y1 In1 Co5'
_symmetry_space_group_name_H-M 'P 4/m m m'
_symmetry_Int_Tables_number 123
_symmetry_space_group_name_Hall '-P 4 2'
_cell_length_a 3.578
_cell_length_b 3.578
_cell_length_c 8.569
_cell_angle_alpha 90.00
_cell_angle_beta 90.00
_cell_angle_gamma 90.00
loop_
_atom_site_label
_atom_site_type_symbol
_atom_site_fract_x
_atom_site_fract_y
_atom_site_fract_z
_atom_site_occupancy
Y1 Y 0.000 0.000 0.000 1
In1 In 0.000 0.000 0.500 1
Co1 Co 0.000 0.500 0.257 1
Co2 Co 0.500 0.500 0.000 1

---

# 4
# PBE-GGA Co2CuAs, optimized geometry
# Energy of formation from the pure elements ... 0.117 eV per atom
data_Co2CuAs
_chemical_formula_sum 'Co4 Cu2 As2'
_symmetry_space_group_name_H-M 'C 1 m 1'
_symmetry_Int_Tables_number 8
_cell_length_a 8.870
_cell_length_b 2.811
_cell_length_c 4.170
_cell_angle_alpha 90.00
_cell_angle_beta 111.04
_cell_angle_gamma 90.00
loop_
_symmetry_equiv_pos_as_xyz
'x,y,z'
'x,-y,z'
'x+1/2,y+1/2,z'
'x+1/2,-y+1/2,z'
loop_
_atom_site_label
_atom_site_type_symbol
_atom_site_fract_x
_atom_site_fract_y
_atom_site_fract_z
_atom_site_occupancy
Co1 Co 0.000 0.000 0.000 1
Co2 Co 0.241 0.500 0.404 1
Cu1 Cu 0.486 0.000 0.492 1
As1 As 0.256 0.000 0.895 1

---

# 5
# PBE-GGA Ni3Ir, optimized geometry
# Energy of formation from the pure elements ... 0.015 eV per atom
data_Ni3Ir
_chemical_formula_sum 'Ni12 Ir4'
_symmetry_space_group_name_H-M 'P n m a'
_symmetry_Int_Tables_number 62